Material:
/*
# 1
A geometry-optimized YPtF7 structure. Source: the Materials Project database, functional meta-GGA r2SCAN.

As for the space group: No. 14. For the formation energy, the calculation gives -271 kJ/mol of atoms. The calculation puts the raw total energy at -13.2144 eV/atom. As for the crystal system: monoclinic. The density comes out at 5.53 g/cm³.

Cell: 5.420 8.782 11.880 Å, 62.30 90.00 90.00°
Positions (direct):
Y: 0.262 0.813 0.264
Y: 0.738 0.187 0.736
Y: 0.762 0.187 0.236
Y: 0.238 0.813 0.764
Pt: 0.758 0.728 0.043
Pt: 0.242 0.272 0.957
Pt: 0.258 0.272 0.457
Pt: 0.742 0.728 0.543
F: 0.932 0.705 0.413
F: 0.068 0.295 0.587
F: 0.432 0.295 0.087
F: 0.568 0.705 0.913
F: 0.458 0.722 0.134
F: 0.542 0.278 0.866
F: 0.958 0.278 0.366
F: 0.042 0.722 0.634
F: 0.942 0.744 0.177
F: 0.058 0.256 0.823
F: 0.442 0.256 0.323
F: 0.558 0.744 0.677
F: 0.776 0.479 0.140
F: 0.224 0.521 0.860
F: 0.276 0.521 0.360
F: 0.724 0.479 0.640
F: 0.933 0.274 0.041
F: 0.067 0.726 0.959
F: 0.433 0.726 0.459
F: 0.567 0.274 0.541
F: 0.747 0.978 0.450
F: 0.253 0.022 0.550
F: 0.247 0.022 0.050
F: 0.753 0.978 0.950
F: 0.597 0.965 0.232
F: 0.403 0.035 0.768
F: 0.097 0.035 0.268
F: 0.903 0.965 0.732


# 2
A geometry-optimized RbF structure. Source: the Materials Project database, functional meta-GGA r2SCAN.

As for the space group: No. 221. For the formation energy, the calculation gives -270 kJ/mol of atoms. The calculation puts the raw total energy at -11.3317 eV/atom. As for the crystal system: cubic. The density comes out at 4.53 g/cm³.

Cell: 3.370 3.370 3.370 Å, 90.00 90.00 90.00°
Positions (direct):
Rb: 0.000 0.000 0.000
F: 0.500 0.500 0.500


# 3
A geometry-optimized RbF structure. Source: the Materials Project database, functional meta-GGA r2SCAN.

As for the space group: No. 225. For the formation energy, the calculation gives -275 kJ/mol of atoms. The calculation puts the raw total energy at -11.3833 eV/atom. As for the crystal system: cubic. The density comes out at 3.88 g/cm³.

Cell: 3.983 3.983 3.983 Å, 60.00 60.00 60.00°
Positions (direct):
Rb: 0.000 0.000 0.000
F: 0.500 0.500 0.500


# 4
A geometry-optimized RbF2 structure. Source: the Materials Project database, functional meta-GGA r2SCAN.

As for the space group: No. 136. For the formation energy, the calculation gives -188 kJ/mol of atoms. The calculation puts the raw total energy at -8.6768 eV/atom. As for the crystal system: tetragonal. The density comes out at 2.94 g/cm³.

Cell: 5.137 5.137 5.289 Å, 90.00 90.00 90.00°
Positions (direct):
Rb: 0.000 0.000 0.000
Rb: 0.500 0.500 0.500
F: 0.367 0.367 0.000
F: 0.633 0.633 0.000
F: 0.867 0.133 0.500
F: 0.133 0.867 0.500


# 5
A geometry-optimized Rb2RhF6 structure. Source: the Materials Project database, functional meta-GGA r2SCAN.

As for the space group: No. 164. For the formation energy, the calculation gives -235 kJ/mol of atoms. The calculation puts the raw total energy at -10.2954 eV/atom. As for the crystal system: trigonal. The density comes out at 4.47 g/cm³.

Cell: 5.907 5.907 4.767 Å, 90.00 90.00 120.00°
Positions (direct):
Rb: 0.333 0.667 0.708
Rb: 0.667 0.333 0.292
Rh: 0.000 0.000 0.000
F: 0.843 0.157 0.776
F: 0.843 0.686 0.776
F: 0.314 0.157 0.776
F: 0.157 0.843 0.224
F: 0.157 0.314 0.224
F: 0.686 0.843 0.224


# 6
A geometry-optimized RbSb2F7 structure. Source: the Materials Project database, functional meta-GGA r2SCAN.

As for the space group: No. 14. For the formation energy, the calculation gives -256 kJ/mol of atoms. The calculation puts the raw total energy at -11.3750 eV/atom. As for the crystal system: monoclinic. The density comes out at 4.42 g/cm³.

Cell: 6.571 8.691 12.432 Å, 77.84 90.00 90.00°
Positions (direct):
Rb: 0.234 0.074 0.112
Rb: 0.266 0.574 0.112
Rb: 0.734 0.426 0.888
Rb: 0.766 0.926 0.888
Sb: 0.761 0.285 0.222
Sb: 0.261 0.215 0.778
Sb: 0.239 0.715 0.778
Sb: 0.739 0.785 0.222
Sb: 0.710 0.844 0.580
Sb: 0.790 0.344 0.580
Sb: 0.290 0.156 0.420
Sb: 0.210 0.656 0.420
F: 0.430 0.840 0.498
F: 0.382 0.370 0.355
*/

Exercise:
Your job: work out how many lines earlier on have the word "RbF" in them; a number is enough.

Result:
2